### Job
Could you reproduce the listing underneath unchanged?

### Entries
┌──
Entry 1:
Density functional theory data (GGA-PBE) for TiNb3S6 after structural relaxation.

Output
V ... 18.313 A^3/atom
Energy relative to the elements ... -1.54 eV/atom

```
20
Lattice="1.897 3.783 -3.971 -5.225 -2.456 -0.594 -5.166 9.417 6.504" Properties=species:S:1:pos:R:3 pbc="T T T"
Ti -4.142 1.978 -0.094
Ti -4.351 8.766 2.033
Nb -2.583 4.708 3.252
Nb 0.000 0.000 0.000
Nb -8.007 9.022 4.771
Nb -0.487 1.722 -2.833
Nb -3.050 6.394 0.394
Nb -5.444 4.351 1.545
S -3.046 3.953 0.913
S -5.880 3.586 -0.808
S -5.416 1.885 2.024
S -4.337 6.349 2.550
S -4.822 8.039 -0.283
S -1.981 8.421 1.421
S -6.724 9.118 2.633
S -3.890 9.485 4.353
S -4.354 11.186 1.522
S -2.881 2.070 -2.218
S -2.395 0.379 0.615
S -5.237 -0.003 -1.089
```

---

Entry 2:
Density functional theory data (GGA-PBE) for Nb2Tl4S11 after structural relaxation.

Output
V ... 28.265 A^3/atom
Energy relative to the elements ... -0.87 eV/atom

```
34
Lattice="7.115 3.967 -0.447 -1.076 -0.731 -9.104 -5.901 11.489 3.935" Properties=species:S:1:pos:R:3 pbc="T T T"
Nb -1.623 3.550 -4.670
Nb 1.760 11.175 -0.945
Nb 0.289 2.851 -7.481
Nb -0.152 11.874 1.866
Tl -2.415 7.211 -3.070
Tl 2.553 7.514 -2.545
Tl -2.487 11.659 -3.436
Tl 2.625 3.066 -2.179
Tl -1.913 7.434 1.871
Tl 2.051 7.291 -7.487
Tl -5.673 11.222 1.620
Tl 5.810 3.503 -7.235
S -3.406 5.947 -0.529
S 3.543 8.778 -5.086
S 0.453 9.514 0.453
S -0.316 5.211 -6.069
S -1.522 2.777 -2.331
S 1.660 11.948 -3.284
S -4.621 9.348 -1.499
S 4.758 5.377 -4.116
S 0.072 5.193 -4.025
S 0.066 9.532 -1.590
S 0.464 5.155 -0.021
S -0.326 9.570 -5.595
S -0.504 13.835 3.040
S 0.641 0.890 -8.655
S 2.241 2.904 -5.992
S -2.103 11.821 0.377
S -0.469 12.786 -0.448
S 0.606 1.939 -5.168
S 2.254 12.291 1.269
S -2.116 2.434 -6.884
S 2.544 5.189 0.110
S -2.407 9.536 -5.726
```

---

Entry 3:
Density functional theory data (GGA-PBE) for Nb6TlS8 after structural relaxation.

Output
V ... 18.637 A^3/atom
Energy relative to the elements ... -1.30 eV/atom

```
15
Lattice="-6.371 2.284 7.019 -2.639 0.610 -9.366 -1.059 -3.225 0.088" Properties=species:S:1:pos:R:3 pbc="T T T"
Nb -0.838 0.226 -1.799
Nb -3.694 1.002 -7.716
Nb -7.116 2.277 -2.199
Nb -3.555 -0.677 -2.081
Nb -3.383 -0.828 -5.518
Nb -6.299 0.172 -3.981
Tl -5.127 1.726 1.557
S -2.753 0.895 -0.340
S -7.892 2.601 0.329
S -4.735 1.683 4.682
S -1.635 -1.348 -3.549
S -5.566 -0.139 -6.545
S -6.037 0.154 -1.487
S -3.883 1.168 -3.905
S -0.530 -1.613 0.044
```

---

Entry 4:
Density functional theory data (GGA-PBE) for Nb4VS8 after structural relaxation.

Output
V ... 18.283 A^3/atom
Energy relative to the elements ... -1.45 eV/atom

```
26
Lattice="3.344 -5.792 0.000 3.344 5.792 0.000 0.000 0.000 12.272" Properties=species:S:1:pos:R:3 pbc="T T T"
Nb 0.000 0.000 3.068
Nb 0.000 0.000 9.204
Nb 3.344 -0.050 3.068
Nb 1.716 -2.871 3.068
Nb 4.972 -2.871 3.068
Nb 3.344 0.050 9.204
Nb 4.972 2.871 9.204
Nb 1.716 2.871 9.204
V 0.000 0.000 6.136
V 0.000 0.000 0.000
S 3.344 1.931 10.791
S 3.344 -1.931 1.480
S 3.344 -1.931 4.655
S 3.344 1.931 7.616
S 3.344 3.871 4.648
S 1.664 0.961 4.648
S 5.024 0.961 4.648
S 3.344 -3.871 7.623
S 5.024 -0.961 7.623
S 1.664 -0.961 7.623
S 3.344 -3.871 10.784
S 5.024 -0.961 10.784
S 1.664 -0.961 10.784
S 3.344 3.871 1.487
S 1.664 0.961 1.487
S 5.024 0.961 1.487
```

---

Entry 5:
Density functional theory data (GGA-PBE) for Nb3VS6 after structural relaxation.

Output
V ... 17.897 A^3/atom
Energy relative to the elements ... -1.46 eV/atom

```
20
Lattice="2.907 -5.034 0.000 2.907 5.034 0.000 0.000 0.000 12.230" Properties=species:S:1:pos:R:3 pbc="T T T"
Nb 2.907 1.678 6.144
Nb 2.907 -1.678 0.029
Nb 2.907 -1.678 6.086
Nb 2.907 1.678 12.201
Nb 0.000 0.000 6.115
Nb 0.000 0.000 0.000
V 2.907 -1.678 9.173
V 2.907 1.678 3.058
S 3.877 0.017 4.538
S 3.860 3.349 4.538
S 0.983 1.668 4.538
S 4.830 -1.668 10.653
S 0.983 -1.668 7.692
S 1.936 -0.017 10.653
S 1.953 -3.349 10.653
S 1.936 0.017 1.577
S 4.830 1.668 1.577
S 3.877 -0.017 7.692
S 3.860 -3.349 7.692
S 1.953 3.349 1.577
```

---

Entry 6:
└──

### Written answer
Entry 1:
Density functional theory data (GGA-PBE) for TiNb3S6 after structural relaxation.

Output
V ... 18.313 A^3/atom
Energy relative to the elements ... -1.54 eV/atom

```
20
Lattice="1.897 3.783 -3.971 -5.225 -2.456 -0.594 -5.166 9.417 6.504" Properties=species:S:1:pos:R:3 pbc="T T T"
Ti -4.142 1.978 -0.094
Ti -4.351 8.766 2.033
Nb -2.583 4.708 3.252
Nb 0.000 0.000 0.000
Nb -8.007 9.022 4.771
Nb -0.487 1.722 -2.833
Nb -3.050 6.394 0.394
Nb -5.444 4.351 1.545
S -3.046 3.953 0.913
S -5.880 3.586 -0.808
S -5.416 1.885 2.024
S -4.337 6.349 2.550
S -4.822 8.039 -0.283
S -1.981 8.421 1.421
S -6.724 9.118 2.633
S -3.890 9.485 4.353
S -4.354 11.186 1.522
S -2.881 2.070 -2.218
S -2.395 0.379 0.615
S -5.237 -0.003 -1.089
```

---

Entry 2:
Density functional theory data (GGA-PBE) for Nb2Tl4S11 after structural relaxation.

Output
V ... 28.265 A^3/atom
Energy relative to the elements ... -0.87 eV/atom

```
34
Lattice="7.115 3.967 -0.447 -1.076 -0.731 -9.104 -5.901 11.489 3.935" Properties=species:S:1:pos:R:3 pbc="T T T"
Nb -1.623 3.550 -4.670
Nb 1.760 11.175 -0.945
Nb 0.289 2.851 -7.481
Nb -0.152 11.874 1.866
Tl -2.415 7.211 -3.070
Tl 2.553 7.514 -2.545
Tl -2.487 11.659 -3.436
Tl 2.625 3.066 -2.179
Tl -1.913 7.434 1.871
Tl 2.051 7.291 -7.487
Tl -5.673 11.222 1.620
Tl 5.810 3.503 -7.235
S -3.406 5.947 -0.529
S 3.543 8.778 -5.086
S 0.453 9.514 0.453
S -0.316 5.211 -6.069
S -1.522 2.777 -2.331
S 1.660 11.948 -3.284
S -4.621 9.348 -1.499
S 4.758 5.377 -4.116
S 0.072 5.193 -4.025
S 0.066 9.532 -1.590
S 0.464 5.155 -0.021
S -0.326 9.570 -5.595
S -0.504 13.835 3.040
S 0.641 0.890 -8.655
S 2.241 2.904 -5.992
S -2.103 11.821 0.377
S -0.469 12.786 -0.448
S 0.606 1.939 -5.168
S 2.254 12.291 1.269
S -2.116 2.434 -6.884
S 2.544 5.189 0.110
S -2.407 9.536 -5.726
```

---

Entry 3:
Density functional theory data (GGA-PBE) for Nb6TlS8 after structural relaxation.

Output
V ... 18.637 A^3/atom
Energy relative to the elements ... -1.30 eV/atom

```
15
Lattice="-6.371 2.284 7.019 -2.639 0.610 -9.366 -1.059 -3.225 0.088" Properties=species:S:1:pos:R:3 pbc="T T T"
Nb -0.838 0.226 -1.799
Nb -3.694 1.002 -7.716
Nb -7.116 2.277 -2.199
Nb -3.555 -0.677 -2.081
Nb -3.383 -0.828 -5.518
Nb -6.299 0.172 -3.981
Tl -5.127 1.726 1.557
S -2.753 0.895 -0.340
S -7.892 2.601 0.329
S -4.735 1.683 4.682
S -1.635 -1.348 -3.549
S -5.566 -0.139 -6.545
S -6.037 0.154 -1.487
S -3.883 1.168 -3.905
S -0.530 -1.613 0.044
```

---

Entry 4:
Density functional theory data (GGA-PBE) for Nb4VS8 after structural relaxation.

Output
V ... 18.283 A^3/atom
Energy relative to the elements ... -1.45 eV/atom

```
26
Lattice="3.344 -5.792 0.000 3.344 5.792 0.000 0.000 0.000 12.272" Properties=species:S:1:pos:R:3 pbc="T T T"
Nb 0.000 0.000 3.068
Nb 0.000 0.000 9.204
Nb 3.344 -0.050 3.068
Nb 1.716 -2.871 3.068
Nb 4.972 -2.871 3.068
Nb 3.344 0.050 9.204
Nb 4.972 2.871 9.204
Nb 1.716 2.871 9.204
V 0.000 0.000 6.136
V 0.000 0.000 0.000
S 3.344 1.931 10.791
S 3.344 -1.931 1.480
S 3.344 -1.931 4.655
S 3.344 1.931 7.616
S 3.344 3.871 4.648
S 1.664 0.961 4.648
S 5.024 0.961 4.648
S 3.344 -3.871 7.623
S 5.024 -0.961 7.623
S 1.664 -0.961 7.623
S 3.344 -3.871 10.784
S 5.024 -0.961 10.784
S 1.664 -0.961 10.784
S 3.344 3.871 1.487
S 1.664 0.961 1.487
S 5.024 0.961 1.487
```

---

Entry 5:
Density functional theory data (GGA-PBE) for Nb3VS6 after structural relaxation.

Output
V ... 17.897 A^3/atom
Energy relative to the elements ... -1.46 eV/atom

```
20
Lattice="2.907 -5.034 0.000 2.907 5.034 0.000 0.000 0.000 12.230" Properties=species:S:1:pos:R:3 pbc="T T T"
Nb 2.907 1.678 6.144
Nb 2.907 -1.678 0.029
Nb 2.907 -1.678 6.086
Nb 2.907 1.678 12.201
Nb 0.000 0.000 6.115
Nb 0.000 0.000 0.000
V 2.907 -1.678 9.173
V 2.907 1.678 3.058
S 3.877 0.017 4.538
S 3.860 3.349 4.538
S 0.983 1.668 4.538
S 4.830 -1.668 10.653
S 0.983 -1.668 7.692
S 1.936 -0.017 10.653
S 1.953 -3.349 10.653
S 1.936 0.017 1.577
S 4.830 1.668 1.577
S 3.877 -0.017 7.692
S 3.860 -3.349 7.692
S 1.953 3.349 1.577
```

---

Entry 6: